_What to do_
What is needed: repeat every line further below that contains the word "energy".

_Data_
- - -
1.
Li3TiAs | GGA-PBE | optimized geometry

abc: 4.575 4.575 4.575
angles: 90.00 90.00 90.00
Element x y z (fractional)
Li1 0.000 0.000 0.500
Li2 0.000 0.500 0.000
Li3 0.500 0.000 0.000
Ti1 0.500 0.500 0.500
As1 0.000 0.000 0.000

Offset from the most stable computed form in eV per formula unit: 0.00
D(E_F) in states/eV/f.u.: 10.9
Magnetic moment in μB/atom: 0.000



2.
LiTi5As4 | GGA-PBE | optimized geometry

abc: 7.212 7.212 7.212
angles: 150.88 110.54 77.03
Element x y z (fractional)
Li1 0.000 0.000 0.000
Ti1 0.041 0.349 0.692
Ti2 0.344 0.651 0.692
Ti3 0.500 0.500 0.000
Ti4 0.656 0.349 0.308
Ti5 0.959 0.651 0.308
As1 0.257 0.257 0.000
As2 0.286 0.000 0.286
As3 0.714 0.000 0.714
As4 0.743 0.743 0.000

VASP energy in eV/atom: -6.723
D(E_F) in states/eV/f.u.: 8.2
Magnetic moment in μB/atom: 0.000



3.
Li2TiAs2 | GGA-PBE | optimized geometry

abc: 7.293 7.293 2.982
angles: 90.00 90.00 90.00
Element x y z (fractional)
Li1 0.123 0.377 0.000
Li2 0.377 0.877 0.000
Li3 0.623 0.123 0.000
Li4 0.877 0.623 0.000
Ti1 0.000 0.000 0.500
Ti2 0.500 0.500 0.500
As1 0.178 0.678 0.500
As2 0.322 0.178 0.500
As3 0.678 0.822 0.500
As4 0.822 0.322 0.500

VASP energy in eV/atom: -4.683
D(E_F) in states/eV/f.u.: 3.5
Magnetic moment in μB/atom: 0.000



4.
LiTiAs2 | GGA-PBE | optimized geometry

abc: 3.396 3.396 5.833
angles: 90.00 90.00 90.00
Element x y z (fractional)
Li1 0.000 0.000 0.000
Ti1 0.000 0.000 0.500
As1 0.500 0.500 0.269
As2 0.500 0.500 0.731

Offset from the most stable computed form in eV per formula unit: 0.30
D(E_F) in states/eV/f.u.: 2.4
Magnetic moment in μB/atom: 0.229



5.
LiTiAs2 | GGA-PBE | optimized geometry

abc: 7.457 7.457 7.457
angles: 26.52 26.52 26.52
Element x y z (fractional)
Li1 0.000 0.000 0.000
Ti1 0.500 0.500 0.500
As1 0.245 0.245 0.245
As2 0.755 0.755 0.755

Offset from the most stable computed form in eV per formula unit: 0.06
D(E_F) in states/eV/f.u.: 0.9
Magnetic moment in μB/atom: 0.000



6.
LiTi2As3 | GGA-PBE | optimized geometry

abc: 6.291 6.291 8.944
angles: 90.00 90.00 140.89
Element x y z (fractional)
Li1 0.192 0.808 0.750
Li2 0.808 0.192 0.250
Ti1 0.000 0.000 0.000
Ti2 0.000 0.000 0.500
Ti3 0.460 0.540 0.750
Ti4 0.540 0.460 0.250
As1 0.144 0.856 0.250
As2 0.375 0.625 0.059
As3 0.375 0.625 0.441
As4 0.625 0.375 0.559
As5 0.625 0.375 0.941
As6 0.856 0.144 0.750

VASP energy in eV/atom: -5.843
D(E_F) in states/eV/f.u.: 3.8
Magnetic moment in μB/atom: 0.000



7.
LiTiAs2 | GGA-PBE | optimized geometry

abc: 4.553 4.553 4.553
angles: 60.00 60.00 60.00
Element x y z (fractional)
Li1 0.000 0.000 0.000
Ti1 0.500 0.500 0.500
As1 0.250 0.250 0.250
As2 0.750 0.750 0.750

Offset from the most stable computed form in eV per formula unit: 0.80
D(E_F) in states/eV/f.u.: 2.5
Magnetic moment in μB/atom: 0.000



8.
LiTl3As | GGA-PBE | optimized geometry

abc: 5.142 5.142 5.142
angles: 90.00 90.00 90.00
Element x y z (fractional)
Li1 0.000 0.000 0.000
Tl1 0.000 0.000 0.500
Tl2 0.000 0.500 0.000
Tl3 0.500 0.000 0.000
As1 0.500 0.500 0.500

Offset from the most stable computed form in eV per formula unit: 0.00
D(E_F) in states/eV/f.u.: 3.8
Magnetic moment in μB/atom: 0.000



9.
Li2TlAs | GGA-PBE | optimized geometry

abc: 4.419 4.419 6.361
angles: 98.12 98.12 41.93
Element x y z (fractional)
Li1 0.235 0.235 0.178
Li2 0.765 0.765 0.822
Tl1 0.000 0.000 0.500
As1 0.500 0.500 0.000

VASP energy in eV/atom: -3.049
D(E_F) in states/eV/f.u.: 0.5
Magnetic moment in μB/atom: 0.000



10.
LiTlAs | GGA-PBE | optimized geometry

abc: 4.443 4.443 3.932
angles: 90.00 90.00 120.00
Element x y z (fractional)
Li1 0.000 0.000 0.000
Tl1 0.333 0.667 0.500
As1 0.667 0.333 0.002

Offset from the most stable computed form in eV per formula unit: 0.38
D(E_F) in states/eV/f.u.: 0.9
Magnetic moment in μB/atom: 0.000



11.
LiTl2As2 | GGA-PBE | optimized geometry

abc: 7.571 7.571 7.571
angles: 145.27 145.27 49.93
Element x y z (fractional)
Li1 0.000 0.000 0.000
Tl1 0.250 0.750 0.500
Tl2 0.750 0.250 0.500
As1 0.413 0.413 0.000
- - -

_Completed_
VASP energy in eV/atom: -6.723
VASP energy in eV/atom: -4.683
VASP energy in eV/atom: -5.843
VASP energy in eV/atom: -3.049